== Material ==
........
No. 1
Ni4Te3N2: relaxed, PBE.

Summary:
Space-group type: Pnma (62)
Calculated volume in Å³ per atom: 16.336
Relative energy among the computed polymorphs in eV/atom: 0.0000
ΔH_f (0 K) in eV/atom: 0.12
Size of the total moment in μB/cell: 0.000

The structure in extended XYZ format:
```
36
Lattice="6.261 0.000 0.000 0.000 10.568 0.000 0.000 0.000 8.888" Properties=species:S:1:pos:R:3 pbc="T T T"
Ni 0.145 2.642 1.314
Ni 1.202 5.719 0.569
Ni 1.202 10.133 0.569
Ni 1.297 2.642 8.127
Ni 1.833 7.926 3.683
Ni 1.928 0.435 5.013
Ni 1.928 4.849 5.013
Ni 2.986 7.926 5.757
Ni 3.276 2.642 3.130
Ni 4.333 5.719 3.875
Ni 4.333 10.133 3.875
Ni 4.428 2.642 5.205
Ni 4.964 7.926 0.761
Ni 5.059 0.435 8.319
Ni 5.059 4.849 8.319
Ni 6.116 7.926 7.574
Te 0.350 0.638 2.863
Te 0.350 4.646 2.863
Te 0.721 2.642 5.726
Te 2.410 7.926 1.282
Te 2.781 5.922 7.307
Te 2.781 9.930 7.307
Te 3.480 0.638 1.580
Te 3.480 4.646 1.580
Te 3.851 2.642 7.606
Te 5.540 7.926 3.162
Te 5.912 5.922 6.024
Te 5.912 9.930 6.024
N 0.399 1.249 0.048
N 0.399 4.035 0.048
N 2.732 6.533 4.492
N 2.732 9.319 4.492
N 3.529 1.249 4.396
N 3.529 4.035 4.396
N 5.863 6.533 8.840
N 5.863 9.319 8.840
```

---

No. 2
Ti7Ni3N10: relaxed, PBE.

Summary:
Space-group type: Imm2 (44)
Calculated volume in Å³ per atom: 9.564
ΔH_f (0 K) in eV/atom: -1.08
Size of the total moment in μB/cell: 0.000

The structure in extended XYZ format:
```
20
Lattice="-2.673 7.117 2.514 2.673 -7.117 2.514 2.673 7.117 -2.514" Properties=species:S:1:pos:R:3 pbc="T T T"
Ti 0.000 0.000 0.000
Ti 2.673 2.854 -0.028
Ti 2.673 -1.415 2.466
Ti 2.673 5.688 0.040
Ti 2.673 1.415 2.466
Ti 0.000 1.429 2.554
Ti 0.000 4.263 2.486
Ni 2.673 -4.206 2.426
Ni 2.673 4.206 2.426
Ni 0.000 7.117 2.159
N 1.317 4.276 -0.819
N 1.355 -2.841 1.696
N 1.400 7.117 -0.745
N 1.273 0.000 1.769
N 1.317 9.958 -0.819
N 1.355 2.841 1.696
N -1.309 5.703 1.652
N 1.309 5.703 1.652
N -1.309 8.530 1.652
N 1.309 8.530 1.652
```

---

No. 3
TiNi4N4: relaxed, PBE.

Summary:
Space-group type: P-1 (2)
Calculated volume in Å³ per atom: 10.218
ΔH_f (0 K) in eV/atom: -0.19
Size of the total moment in μB/cell: 0.031

The structure in extended XYZ format:
```
18
Lattice="5.402 0.000 0.000 2.491 4.878 0.000 1.676 2.198 6.980" Properties=species:S:1:pos:R:3 pbc="T T T"
Ti 1.838 0.871 1.564
Ti 7.732 6.205 5.417
Ni 3.115 3.330 5.659
Ni 3.424 3.565 3.153
Ni 4.865 5.881 4.380
Ni 3.294 3.208 0.502
Ni 6.276 3.867 6.478
Ni 4.705 1.195 2.601
Ni 6.146 3.511 3.827
Ni 6.455 3.746 1.321
N 2.788 4.545 1.678
N 3.318 4.825 4.491
N 4.444 3.714 6.883
N 3.938 2.090 4.182
N 5.631 4.986 2.799
N 5.126 3.361 0.097
N 6.251 2.251 2.489
N 6.782 2.530 5.302
```

---

No. 4
VNi4N4: relaxed, PBE.

Summary:
Space-group type: P-1 (2)
Calculated volume in Å³ per atom: 10.453
ΔH_f (0 K) in eV/atom: -0.12
Size of the total moment in μB/cell: 0.003

The structure in extended XYZ format:
```
18
Lattice="4.855 0.000 0.000 0.860 5.075 0.000 0.966 0.807 7.636" Properties=species:S:1:pos:R:3 pbc="T T T"
V 1.638 2.025 1.902
V 5.043 3.857 5.734
Ni 1.428 1.475 5.012
Ni 2.538 3.516 6.891
Ni 2.157 4.864 0.803
Ni 2.487 3.875 4.312
Ni 4.194 2.007 3.324
Ni 4.524 1.019 6.833
Ni 4.143 2.366 0.745
Ni 5.253 4.407 2.624
N 0.907 3.476 1.065
N 1.699 4.904 5.684
N 2.351 2.134 3.598
N 2.494 1.297 0.352
N 4.187 4.586 7.284
N 4.330 3.748 4.038
N 4.982 0.979 1.952
N 5.774 2.406 6.571
```

---

No. 5
VNi2N3: relaxed, PBE.

Summary:
Space-group type: Cmcm (63)
Calculated volume in Å³ per atom: 9.773
ΔH_f (0 K) in eV/atom: -0.25
Size of the total moment in μB/cell: 0.352

The structure in extended XYZ format:
```
12
Lattice="4.742 -3.101 0.000 4.742 3.101 0.000 0.000 0.000 3.987" Properties=species:S:1:pos:R:3 pbc="T T T"
V 4.742 1.955 2.990
V 4.742 -1.955 0.997
Ni 3.307 0.947 0.997
Ni 6.177 0.947 0.997
Ni 3.307 -0.947 2.990
Ni 6.177 -0.947 2.990
N 4.742 2.266 0.997
N 3.137 1.007 2.990
N 3.137 -1.007 0.997
N 6.348 1.007 2.990
N 6.348 -1.007 0.997
N 4.742 -2.266 2.990
```

---

No. 6
V2NiN2: relaxed, PBE.

Summary:
........

== Wanted ==
Now reproduce the entries further above from the first line to the one with "1.355 -2.841" word for word.

== Outcome ==
No. 1
Ni4Te3N2: relaxed, PBE.

Summary:
Space-group type: Pnma (62)
Calculated volume in Å³ per atom: 16.336
Relative energy among the computed polymorphs in eV/atom: 0.0000
ΔH_f (0 K) in eV/atom: 0.12
Size of the total moment in μB/cell: 0.000

The structure in extended XYZ format:
```
36
Lattice="6.261 0.000 0.000 0.000 10.568 0.000 0.000 0.000 8.888" Properties=species:S:1:pos:R:3 pbc="T T T"
Ni 0.145 2.642 1.314
Ni 1.202 5.719 0.569
Ni 1.202 10.133 0.569
Ni 1.297 2.642 8.127
Ni 1.833 7.926 3.683
Ni 1.928 0.435 5.013
Ni 1.928 4.849 5.013
Ni 2.986 7.926 5.757
Ni 3.276 2.642 3.130
Ni 4.333 5.719 3.875
Ni 4.333 10.133 3.875
Ni 4.428 2.642 5.205
Ni 4.964 7.926 0.761
Ni 5.059 0.435 8.319
Ni 5.059 4.849 8.319
Ni 6.116 7.926 7.574
Te 0.350 0.638 2.863
Te 0.350 4.646 2.863
Te 0.721 2.642 5.726
Te 2.410 7.926 1.282
Te 2.781 5.922 7.307
Te 2.781 9.930 7.307
Te 3.480 0.638 1.580
Te 3.480 4.646 1.580
Te 3.851 2.642 7.606
Te 5.540 7.926 3.162
Te 5.912 5.922 6.024
Te 5.912 9.930 6.024
N 0.399 1.249 0.048
N 0.399 4.035 0.048
N 2.732 6.533 4.492
N 2.732 9.319 4.492
N 3.529 1.249 4.396
N 3.529 4.035 4.396
N 5.863 6.533 8.840
N 5.863 9.319 8.840
```

---

No. 2
Ti7Ni3N10: relaxed, PBE.

Summary:
Space-group type: Imm2 (44)
Calculated volume in Å³ per atom: 9.564
ΔH_f (0 K) in eV/atom: -1.08
Size of the total moment in μB/cell: 0.000

The structure in extended XYZ format:
```
20
Lattice="-2.673 7.117 2.514 2.673 -7.117 2.514 2.673 7.117 -2.514" Properties=species:S:1:pos:R:3 pbc="T T T"
Ti 0.000 0.000 0.000
Ti 2.673 2.854 -0.028
Ti 2.673 -1.415 2.466
Ti 2.673 5.688 0.040
Ti 2.673 1.415 2.466
Ti 0.000 1.429 2.554
Ti 0.000 4.263 2.486
Ni 2.673 -4.206 2.426
Ni 2.673 4.206 2.426
Ni 0.000 7.117 2.159
N 1.317 4.276 -0.819
N 1.355 -2.841 1.696